Wanted.
Return the part of the block underneath that starts with the line with "-0.03 -3.90" and stops after the one with "-0.27 0.01", please.

Data.
┌──
46
Properties=species:S:1:pos:R:3:mulliken_charge:R:1 method="wB97M-V/def2-TZVPD" total_charge=0 smiles="O=C(Nc1cc2nn(-c3ccccc3)nc2cc1Cl)[C@H]1COc2ccccc2C1" energy_ha=-1678.1016 orbital_gap_ev=7.6
O 0.01 -2.22 -2.15 -0.61
C 0.84 -2.51 -1.31 0.09
N 1.27 -1.60 -0.29 0.25
C 1.07 -0.20 -0.22 -0.47
C -0.17 0.51 -0.54 -0.62
C -0.32 1.92 -0.64 0.48
N -1.40 2.60 -0.98 -0.89
N -0.93 3.89 -0.95 0.77
C -1.75 5.08 -0.92 0.34
C -1.40 6.24 -0.09 -0.10
C -2.17 7.52 -0.08 -0.73
C -3.38 7.43 -0.74 -0.27
C -3.79 6.23 -1.49 -0.54
C -2.97 5.08 -1.46 -0.19
N 0.33 3.88 -0.36 -0.93
C 0.76 2.66 -0.28 1.33
C 1.96 2.09 0.16 -1.51
C 2.11 0.66 0.10 0.72
Cl 3.68 -0.12 0.45 -0.21
C 1.63 -3.89 -1.42 0.00
C 2.95 -3.98 -0.53 -0.92
O 2.71 -4.02 0.92 -0.53
C 1.53 -4.37 1.48 -0.06
C 1.22 -3.93 2.79 -0.34
C -0.03 -3.90 3.39 -0.81
C -1.04 -4.36 2.63 -0.35
C -0.83 -4.78 1.23 -1.04
C 0.43 -4.74 0.67 1.42
C 0.58 -4.99 -0.78 -1.48
H 1.83 -2.04 0.46 0.20
H -1.06 -0.07 -0.73 0.43
H -0.46 6.19 0.52 0.30
H -1.88 8.29 0.53 0.44
H -4.00 8.33 -0.92 0.30
H -4.76 6.12 -1.95 0.34
H -3.28 4.24 -2.08 0.36
H 2.82 2.51 0.38 0.61
H 1.88 -4.06 -2.49 0.49
H 3.62 -3.25 -0.72 0.53
H 3.50 -4.96 -0.80 0.33
H 1.98 -3.62 3.36 0.62
H -0.04 -3.48 4.37 0.43
H -2.08 -4.47 3.05 0.30
H -1.63 -5.21 0.70 0.50
H 0.95 -5.96 -0.94 0.55
H -0.29 -4.72 -1.32 0.47

---

112
Properties=species:S:1:pos:R:3:mulliken_charge:R:1 method="wB97M-V/def2-TZVPD" total_charge=-1 energy_ha=-7981.6297 orbital_gap_ev=9.6
Zn -0.44 3.31 2.12 2.34
C -1.90 -0.97 1.60 0.22
F -1.40 -1.04 2.83 -0.15
F -1.93 -2.21 1.09 -0.17
F -3.15 -0.51 1.61 -0.22
S -0.72 0.17 0.63 0.55
O -0.64 1.39 1.44 0.24
O 0.53 -0.58 0.64 -0.43
O -1.27 0.33 -0.71 -0.58
C 1.43 1.09 5.45 0.57
F 2.46 0.90 6.30 -0.24
F 1.27 0.01 4.68 -0.14
F 0.32 1.30 6.15 -0.22
S 1.86 2.60 4.42 0.71
O 3.07 2.27 3.69 -0.72
O 0.69 2.75 3.54 -0.34
O 2.06 3.71 5.35 -0.70
C -4.59 2.33 3.81 0.54
F -5.57 2.83 4.56 -0.23
F -4.52 1.02 3.94 -0.22
F -4.96 2.61 2.53 -0.24
S -2.97 3.26 4.20 1.19
O -3.37 4.65 4.39 -0.70
O -2.45 2.58 5.35 -0.65
O -2.15 3.22 2.98 -0.82
C -0.51 4.13 -2.56 -0.46
O -1.44 4.98 -1.90 -0.47
P -2.26 4.36 -0.66 -1.12
O -1.33 3.93 0.39 1.63
O -3.30 5.48 -0.26 -0.35
C -4.43 5.75 -1.10 -0.83
O -3.08 3.16 -1.32 -0.23
C -3.87 2.28 -0.53 -0.28
H -0.18 3.36 -1.86 -0.07
H 0.46 4.53 -2.85 0.31
H -0.99 3.62 -3.40 0.43
H -4.64 4.93 -1.77 0.37
H -4.30 6.70 -1.62 0.26
H -5.28 5.84 -0.42 0.27
H -3.64 2.33 0.53 -0.01
H -3.69 1.24 -0.81 0.12
H -4.92 2.44 -0.79 0.37
C 8.06 -1.03 2.00 -0.76
O 6.79 -1.30 1.43 -0.35
P 5.61 -1.98 2.28 0.88
O 5.58 -3.43 2.14 -0.78
O 4.31 -1.15 1.83 0.15
C 3.06 -1.33 2.49 -0.42
O 5.84 -1.50 3.81 -0.41
C 5.65 -0.12 4.12 -0.72
H 8.13 0.05 2.09 0.28
H 8.90 -1.45 1.45 0.29
H 8.19 -1.41 3.01 0.33
H 2.80 -0.37 2.94 -0.10
H 3.09 -2.08 3.29 0.51
H 2.33 -1.66 1.75 0.14
H 4.88 0.03 4.88 0.19
H 5.49 0.57 3.29 0.33
H 6.58 0.22 4.59 0.39
C -2.63 -6.36 -3.26 -0.72
O -2.87 -6.02 -1.91 0.15
P -3.83 -6.91 -1.02 0.73
O -3.54 -8.34 -1.14 -0.74
O -3.69 -6.23 0.42 -0.36
C -3.99 -4.86 0.61 -0.61
O -5.29 -6.43 -1.49 -0.32
C -6.51 -7.00 -1.05 -0.73
H -1.81 -7.07 -3.32 0.29
H -2.42 -5.51 -3.91 0.22
H -3.49 -6.83 -3.75 0.35
H -4.30 -4.32 -0.28 0.34
H -3.15 -4.32 1.06 0.17
H -4.76 -4.82 1.39 0.37
H -6.40 -8.09 -1.10 0.34
H -7.26 -6.81 -1.81 0.24
H -6.81 -6.64 -0.07 0.26
C 1.58 6.21 0.09 -0.42
O 2.45 5.11 -0.16 -0.44
C 2.21 3.92 0.34 0.36
O 1.25 3.58 0.98 -0.28
O 3.18 3.12 0.01 -0.47
C 3.03 1.77 0.44 0.13
H 0.60 5.89 -0.27 0.01
H 1.95 7.09 -0.42 0.25
H 1.50 6.47 1.15 0.29
H 2.93 1.68 1.52 -0.12
H 3.91 1.19 0.16 0.25
H 2.13 1.32 0.02 -0.07
C 0.09 0.18 -3.26 0.11
O 1.01 0.54 -4.31 -0.41
C 1.82 1.56 -4.08 0.73
O 1.96 2.09 -3.01 -0.40
O 2.39 1.90 -5.23 -0.40
C 3.13 3.11 -5.26 -0.65
H 0.58 -0.29 -2.41 0.03
H -0.66 -0.46 -3.70 0.25
H -0.37 1.13 -2.99 -0.10
H 3.66 3.32 -4.33 0.27
H 2.48 3.93 -5.56 0.26
H 3.91 2.96 -6.01 0.27
C -0.56 -3.48 -1.51 -0.09
O -0.21 -4.39 -2.54 -0.26
C 0.43 -3.98 -3.63 0.82
O 0.74 -2.85 -3.87 -0.58
O 0.83 -5.08 -4.28 -0.32
C 1.66 -4.88 -5.39 -0.75
└──

Done.
C -0.03 -3.90 3.39 -0.81
C -1.04 -4.36 2.63 -0.35
C -0.83 -4.78 1.23 -1.04
C 0.43 -4.74 0.67 1.42
C 0.58 -4.99 -0.78 -1.48
H 1.83 -2.04 0.46 0.20
H -1.06 -0.07 -0.73 0.43
H -0.46 6.19 0.52 0.30
H -1.88 8.29 0.53 0.44
H -4.00 8.33 -0.92 0.30
H -4.76 6.12 -1.95 0.34
H -3.28 4.24 -2.08 0.36
H 2.82 2.51 0.38 0.61
H 1.88 -4.06 -2.49 0.49
H 3.62 -3.25 -0.72 0.53
H 3.50 -4.96 -0.80 0.33
H 1.98 -3.62 3.36 0.62
H -0.04 -3.48 4.37 0.43
H -2.08 -4.47 3.05 0.30
H -1.63 -5.21 0.70 0.50
H 0.95 -5.96 -0.94 0.55
H -0.29 -4.72 -1.32 0.47

---

112
Properties=species:S:1:pos:R:3:mulliken_charge:R:1 method="wB97M-V/def2-TZVPD" total_charge=-1 energy_ha=-7981.6297 orbital_gap_ev=9.6
Zn -0.44 3.31 2.12 2.34
C -1.90 -0.97 1.60 0.22
F -1.40 -1.04 2.83 -0.15
F -1.93 -2.21 1.09 -0.17
F -3.15 -0.51 1.61 -0.22
S -0.72 0.17 0.63 0.55
O -0.64 1.39 1.44 0.24
O 0.53 -0.58 0.64 -0.43
O -1.27 0.33 -0.71 -0.58
C 1.43 1.09 5.45 0.57
F 2.46 0.90 6.30 -0.24
F 1.27 0.01 4.68 -0.14
F 0.32 1.30 6.15 -0.22
S 1.86 2.60 4.42 0.71
O 3.07 2.27 3.69 -0.72
O 0.69 2.75 3.54 -0.34
O 2.06 3.71 5.35 -0.70
C -4.59 2.33 3.81 0.54
F -5.57 2.83 4.56 -0.23
F -4.52 1.02 3.94 -0.22
F -4.96 2.61 2.53 -0.24
S -2.97 3.26 4.20 1.19
O -3.37 4.65 4.39 -0.70
O -2.45 2.58 5.35 -0.65
O -2.15 3.22 2.98 -0.82
C -0.51 4.13 -2.56 -0.46
O -1.44 4.98 -1.90 -0.47
P -2.26 4.36 -0.66 -1.12
O -1.33 3.93 0.39 1.63
O -3.30 5.48 -0.26 -0.35
C -4.43 5.75 -1.10 -0.83
O -3.08 3.16 -1.32 -0.23
C -3.87 2.28 -0.53 -0.28
H -0.18 3.36 -1.86 -0.07
H 0.46 4.53 -2.85 0.31
H -0.99 3.62 -3.40 0.43
H -4.64 4.93 -1.77 0.37
H -4.30 6.70 -1.62 0.26
H -5.28 5.84 -0.42 0.27
H -3.64 2.33 0.53 -0.01
H -3.69 1.24 -0.81 0.12
H -4.92 2.44 -0.79 0.37
C 8.06 -1.03 2.00 -0.76
O 6.79 -1.30 1.43 -0.35
P 5.61 -1.98 2.28 0.88
O 5.58 -3.43 2.14 -0.78
O 4.31 -1.15 1.83 0.15
C 3.06 -1.33 2.49 -0.42
O 5.84 -1.50 3.81 -0.41
C 5.65 -0.12 4.12 -0.72
H 8.13 0.05 2.09 0.28
H 8.90 -1.45 1.45 0.29
H 8.19 -1.41 3.01 0.33
H 2.80 -0.37 2.94 -0.10
H 3.09 -2.08 3.29 0.51
H 2.33 -1.66 1.75 0.14
H 4.88 0.03 4.88 0.19
H 5.49 0.57 3.29 0.33
H 6.58 0.22 4.59 0.39
C -2.63 -6.36 -3.26 -0.72
O -2.87 -6.02 -1.91 0.15
P -3.83 -6.91 -1.02 0.73
O -3.54 -8.34 -1.14 -0.74
O -3.69 -6.23 0.42 -0.36
C -3.99 -4.86 0.61 -0.61
O -5.29 -6.43 -1.49 -0.32
C -6.51 -7.00 -1.05 -0.73
H -1.81 -7.07 -3.32 0.29
H -2.42 -5.51 -3.91 0.22
H -3.49 -6.83 -3.75 0.35
H -4.30 -4.32 -0.28 0.34
H -3.15 -4.32 1.06 0.17
H -4.76 -4.82 1.39 0.37
H -6.40 -8.09 -1.10 0.34
H -7.26 -6.81 -1.81 0.24
H -6.81 -6.64 -0.07 0.26
C 1.58 6.21 0.09 -0.42
O 2.45 5.11 -0.16 -0.44
C 2.21 3.92 0.34 0.36
O 1.25 3.58 0.98 -0.28
O 3.18 3.12 0.01 -0.47
C 3.03 1.77 0.44 0.13
H 0.60 5.89 -0.27 0.01